• What to do:
Reproduce everything underneath without additions.

• Data:
- - -
Entry 1:
Below is an optimized crystal structure of CrCoPt2, with properties calculated at the GGA-PBE level.

Cell: 8.839 8.839 8.839 Å, 17.57 17.57 17.57°
Positions (direct):
Pt 0.493 0.493 0.493
Pt 0.256 0.256 0.256
Cr 0.745 0.745 0.745
Co 0.006 0.006 0.006

The total energy is -28.73 eV per formula unit. Its theoretical density is 15.15 Mg/m³. The value obtained for the distance to the lowest polymorph of the same formula is 180 meV per atom. The calculation puts the formation energy at 44 meV per atom.

=====

Entry 2:
Below is an optimized crystal structure of Nd4Si7, with properties calculated at the GGA-PBE level.

Cell: 4.109 4.240 13.816 Å, 90.00 90.00 90.00°
Positions (direct):
Si 0.000 0.500 0.789
Nd 0.500 0.000 0.874
Si 0.000 0.000 0.040
Nd 0.000 0.000 0.627
Si 0.000 0.000 0.209
Si 0.500 0.000 0.463
Si 0.500 0.500 0.697
Nd 0.000 0.500 0.373
Si 0.000 0.500 0.960
Nd 0.500 0.500 0.126
Si 0.500 0.000 0.296

The total energy is -63.79 eV per formula unit. Its theoretical density is 5.34 Mg/m³. The value obtained for the distance to the lowest polymorph of the same formula is 0 meV per atom. The calculation puts the formation energy at -568 meV per atom.

=====

Entry 3:
Below is an optimized crystal structure of NdAlPt, with properties calculated at the GGA-PBE level.

Cell: 4.503 7.170 7.881 Å, 90.00 90.00 90.00°
Positions (direct):
Al 0.250 0.146 0.067
Pt 0.750 0.718 0.611
Nd 0.250 0.029 0.682
Pt 0.250 0.782 0.111
Pt 0.750 0.218 0.889
Nd 0.750 0.471 0.182
Nd 0.250 0.529 0.818
Nd 0.750 0.971 0.318
Al 0.750 0.854 0.933
Al 0.750 0.354 0.567
Al 0.250 0.646 0.433
Pt 0.250 0.282 0.389

The total energy is -17.75 eV per formula unit. Its theoretical density is 9.56 Mg/m³. The calculation puts the formation energy at -1054 meV per atom.

* * * * *

Entry 1:
Entry from Materials Project: a relaxed Ca2GaClO8 crystal (PBE-GGA).

M_tot: 0.17 μB per atom
energy of formation: -916 meV/atom
E (MP2020): -0.3642 Ry/atom

Lattice parameters (Å, degrees): 7.2201 7.2201 7.2201 50.93 50.93 50.93
With the nearest neighbours (Å) after each atom.
Sites, in units of the cell vectors:
Ca 0.1920 0.1920 0.1920  7 O 2.39-2.47
Ca 0.8080 0.8080 0.8080  7 O 2.39-2.47
Ga 0.5000 0.5000 0.5000  6 O 1.97
Cl 0.0000 0.0000 0.0000  6 O 3.13
O 0.1896 0.7694 0.4196  1 Ga 1.97
O 0.2306 0.5804 0.8104  1 Ga 1.97
O 0.3234 0.3234 0.3234  1 Ca 2.47
O 0.4196 0.1896 0.7694  1 Ga 1.97
O 0.5804 0.8104 0.2306  1 Ga 1.97
O 0.6766 0.6766 0.6766  1 Ca 2.47
O 0.7694 0.4196 0.1896  1 Ga 1.97
O 0.8104 0.2306 0.5804  1 Ga 1.97


Entry 2:
Entry from Materials Project: a relaxed Ca2LaGeS4Cl3 crystal (PBE-GGA).

M_tot: 0.00 μB per atom
energy of formation: -2118 meV/atom
E (MP2020): -0.3939 Ry/atom

Lattice parameters (Å, degrees): 9.8554 9.8554 6.3958 90.00 90.00 121.47
With the nearest neighbours (Å) after each atom.
Sites, in units of the cell vectors:
Ca 0.1255 0.3062 0.0000  3 Cl 2.77-2.85, 3 S 2.84-2.96
Ca 0.3062 0.1255 0.5000  3 Cl 2.77-2.85, 3 S 2.84-2.96
Ca 0.6938 0.8745 0.0000  3 Cl 2.77-2.85, 3 S 2.84-2.96
Ca 0.8745 0.6938 0.5000  3 Cl 2.77-2.85, 3 S 2.84-2.96
La 0.3120 0.6880 0.4999  3 Cl 2.85-2.88, 3 S 2.88-2.95
La 0.6880 0.3120 0.9999  3 Cl 2.85-2.88, 3 S 2.88-2.95
Ge 0.1639 0.8361 0.9248  4 S 2.22-2.26
Ge 0.8361 0.1639 0.4248  4 S 2.22-2.26
S 0.0405 0.5904 0.7845  1 Ge 2.25
S 0.0457 0.9543 0.7835  1 Ge 2.22
S 0.1661 0.8339 0.2780  1 Ge 2.26
S 0.4096 0.9595 0.7845  1 Ge 2.25
S 0.5904 0.0405 0.2845  1 Ge 2.25
S 0.8339 0.1661 0.7780  1 Ge 2.26
S 0.9543 0.0457 0.2835  1 Ge 2.22
S 0.9595 0.4096 0.2845  1 Ge 2.25
Cl 0.2550 0.3774 0.6015  2 Ca 2.77-2.85, 1 La 2.88
Cl 0.3774 0.2550 0.1015  2 Ca 2.77-2.85, 1 La 2.88
Cl 0.3782 0.6218 0.0921  1 La 2.85, 2 Ca 2.85
Cl 0.6218 0.3782 0.5921  1 La 2.85, 2 Ca 2.85
Cl 0.6226 0.7450 0.6015  2 Ca 2.77-2.85, 1 La 2.88
Cl 0.7450 0.6226 0.1015  2 Ca 2.77-2.85, 1 La 2.88


Entry 3:
Entry from Materials Project: a relaxed Ca3GeCl2O4 crystal (PBE-GGA).

M_tot: 0.00 μB per atom
energy of formation: -2798 meV/atom
- - -

• Result:
Entry 1:
Below is an optimized crystal structure of CrCoPt2, with properties calculated at the GGA-PBE level.

Cell: 8.839 8.839 8.839 Å, 17.57 17.57 17.57°
Positions (direct):
Pt 0.493 0.493 0.493
Pt 0.256 0.256 0.256
Cr 0.745 0.745 0.745
Co 0.006 0.006 0.006

The total energy is -28.73 eV per formula unit. Its theoretical density is 15.15 Mg/m³. The value obtained for the distance to the lowest polymorph of the same formula is 180 meV per atom. The calculation puts the formation energy at 44 meV per atom.

=====

Entry 2:
Below is an optimized crystal structure of Nd4Si7, with properties calculated at the GGA-PBE level.

Cell: 4.109 4.240 13.816 Å, 90.00 90.00 90.00°
Positions (direct):
Si 0.000 0.500 0.789
Nd 0.500 0.000 0.874
Si 0.000 0.000 0.040
Nd 0.000 0.000 0.627
Si 0.000 0.000 0.209
Si 0.500 0.000 0.463
Si 0.500 0.500 0.697
Nd 0.000 0.500 0.373
Si 0.000 0.500 0.960
Nd 0.500 0.500 0.126
Si 0.500 0.000 0.296

The total energy is -63.79 eV per formula unit. Its theoretical density is 5.34 Mg/m³. The value obtained for the distance to the lowest polymorph of the same formula is 0 meV per atom. The calculation puts the formation energy at -568 meV per atom.

=====

Entry 3:
Below is an optimized crystal structure of NdAlPt, with properties calculated at the GGA-PBE level.

Cell: 4.503 7.170 7.881 Å, 90.00 90.00 90.00°
Positions (direct):
Al 0.250 0.146 0.067
Pt 0.750 0.718 0.611
Nd 0.250 0.029 0.682
Pt 0.250 0.782 0.111
Pt 0.750 0.218 0.889
Nd 0.750 0.471 0.182
Nd 0.250 0.529 0.818
Nd 0.750 0.971 0.318
Al 0.750 0.854 0.933
Al 0.750 0.354 0.567
Al 0.250 0.646 0.433
Pt 0.250 0.282 0.389

The total energy is -17.75 eV per formula unit. Its theoretical density is 9.56 Mg/m³. The calculation puts the formation energy at -1054 meV per atom.

* * * * *

Entry 1:
Entry from Materials Project: a relaxed Ca2GaClO8 crystal (PBE-GGA).

M_tot: 0.17 μB per atom
energy of formation: -916 meV/atom
E (MP2020): -0.3642 Ry/atom

Lattice parameters (Å, degrees): 7.2201 7.2201 7.2201 50.93 50.93 50.93
With the nearest neighbours (Å) after each atom.
Sites, in units of the cell vectors:
Ca 0.1920 0.1920 0.1920  7 O 2.39-2.47
Ca 0.8080 0.8080 0.8080  7 O 2.39-2.47
Ga 0.5000 0.5000 0.5000  6 O 1.97
Cl 0.0000 0.0000 0.0000  6 O 3.13
O 0.1896 0.7694 0.4196  1 Ga 1.97
O 0.2306 0.5804 0.8104  1 Ga 1.97
O 0.3234 0.3234 0.3234  1 Ca 2.47
O 0.4196 0.1896 0.7694  1 Ga 1.97
O 0.5804 0.8104 0.2306  1 Ga 1.97
O 0.6766 0.6766 0.6766  1 Ca 2.47
O 0.7694 0.4196 0.1896  1 Ga 1.97
O 0.8104 0.2306 0.5804  1 Ga 1.97


Entry 2:
Entry from Materials Project: a relaxed Ca2LaGeS4Cl3 crystal (PBE-GGA).

M_tot: 0.00 μB per atom
energy of formation: -2118 meV/atom
E (MP2020): -0.3939 Ry/atom

Lattice parameters (Å, degrees): 9.8554 9.8554 6.3958 90.00 90.00 121.47
With the nearest neighbours (Å) after each atom.
Sites, in units of the cell vectors:
Ca 0.1255 0.3062 0.0000  3 Cl 2.77-2.85, 3 S 2.84-2.96
Ca 0.3062 0.1255 0.5000  3 Cl 2.77-2.85, 3 S 2.84-2.96
Ca 0.6938 0.8745 0.0000  3 Cl 2.77-2.85, 3 S 2.84-2.96
Ca 0.8745 0.6938 0.5000  3 Cl 2.77-2.85, 3 S 2.84-2.96
La 0.3120 0.6880 0.4999  3 Cl 2.85-2.88, 3 S 2.88-2.95
La 0.6880 0.3120 0.9999  3 Cl 2.85-2.88, 3 S 2.88-2.95
Ge 0.1639 0.8361 0.9248  4 S 2.22-2.26
Ge 0.8361 0.1639 0.4248  4 S 2.22-2.26
S 0.0405 0.5904 0.7845  1 Ge 2.25
S 0.0457 0.9543 0.7835  1 Ge 2.22
S 0.1661 0.8339 0.2780  1 Ge 2.26
S 0.4096 0.9595 0.7845  1 Ge 2.25
S 0.5904 0.0405 0.2845  1 Ge 2.25
S 0.8339 0.1661 0.7780  1 Ge 2.26
S 0.9543 0.0457 0.2835  1 Ge 2.22
S 0.9595 0.4096 0.2845  1 Ge 2.25
Cl 0.2550 0.3774 0.6015  2 Ca 2.77-2.85, 1 La 2.88
Cl 0.3774 0.2550 0.1015  2 Ca 2.77-2.85, 1 La 2.88
Cl 0.3782 0.6218 0.0921  1 La 2.85, 2 Ca 2.85
Cl 0.6218 0.3782 0.5921  1 La 2.85, 2 Ca 2.85
Cl 0.6226 0.7450 0.6015  2 Ca 2.77-2.85, 1 La 2.88
Cl 0.7450 0.6226 0.1015  2 Ca 2.77-2.85, 1 La 2.88


Entry 3:
Entry from Materials Project: a relaxed Ca3GeCl2O4 crystal (PBE-GGA).

M_tot: 0.00 μB per atom
energy of formation: -2798 meV/atom